The Paradox Of The Illuminati

IlluminatiEyeHere we are ready to welcome in 2015 and the amount of fear being spread in our world seems to be at an all-time high! Humanity is quickly evolving and many people are waking up, we are in the midst of a most exciting time in our evolution!

One topic that I see and read very often is of the Illuminati, or the social Elite or the ruling class, whatever you wish to “label” them. I continue to read how evil these people are and there lies a very important paradox in understanding the Illuminati. We are coming into a period of existence where humanity is starting to really understand itself and how reality truly works as Quantum physics becomes ever increasingly popular and understood.

Now the principles and concepts are nothing new, just a larger scale of the population are starting to truly comprehend what it all means. Thousands of years ago highly conscious beings told us, we are creators of our reality, we are the way, we are all enlightened beings, the universe is within us, the list goes on what these enlightened masters were trying to say to us yet some just chose not to understand this and thus experience life in a way to help them wake up. Continue reading

Rise Of The Gnostics

“It is time to reject the phony new age movement and the phony green movement both controlled by the globalists, and become fully conscious and environmentalists ourselves. It is time to come to the simple realisation that we are all love at our source.” – P P Parker

(The piece is interrupted by data records)
-- begin --
Record 1
Computed, not measured: an optimized crystal structure of Th5TcBi2 at the PBE level of DFT.

Cell and atoms, written as POSCAR:
```
Th5TcBi2
1.0
8.310 0.000 0.000
0.000 12.745 0.000
0.000 0.000 4.634
Th Tc Bi
10 2 4
Direct
0.000 0.000 0.000
0.129 0.301 0.000
0.196 0.560 0.500
0.304 0.060 0.500
0.371 0.801 0.000
0.500 0.500 0.000
0.629 0.199 0.000
0.696 0.940 0.500
0.804 0.440 0.500
0.871 0.699 0.000
0.000 0.500 0.000
0.500 0.000 0.000
0.086 0.823 0.500
0.414 0.323 0.500
0.586 0.677 0.500
0.914 0.177 0.500
```

Output
uncorrected energy: -7.272 eV/atom
space-group type: Pbam (55)
E_form: -368 meV per atom

---

Record 2
Computed, not measured: an optimized crystal structure of Th4TcBi at the PBE level of DFT.

Cell and atoms, written as POSCAR:
```
Th4TcBi
1.0
8.800 0.000 0.000
0.000 3.990 0.000
0.000 0.000 20.008
Th Tc Bi
16 4 4
Direct
0.018 0.250 0.067
0.054 0.750 0.217
0.121 0.750 0.647
0.150 0.750 0.453
0.350 0.250 0.953
0.379 0.250 0.147
0.446 0.250 0.717
0.482 0.750 0.567
0.518 0.250 0.433
0.554 0.750 0.283
0.621 0.750 0.853
0.650 0.750 0.047
0.850 0.250 0.547
0.879 0.250 0.353
0.946 0.250 0.783
0.982 0.750 0.933
0.233 0.250 0.559
0.267 0.750 0.059
0.733 0.250 0.941
0.767 0.750 0.441
0.244 0.750 0.814
0.256 0.250 0.314
0.744 0.750 0.686
0.756 0.250 0.186
```

Output
uncorrected energy: -7.613 eV/atom
space-group type: Pnma (62)
E_form: -292 meV per atom

---

Record 3
Computed, not measured: an optimized crystal structure of Th5TcBi2 at the PBE level of DFT.

Cell and atoms, written as POSCAR:
```
Th5TcBi2
1.0
2.918 -8.077 0.000
2.918 8.077 0.000
0.000 0.000 13.219
Th Tc Bi
10 2 4
Direct
0.066 0.934 0.605
0.066 0.934 0.895
0.292 0.708 0.571
0.292 0.708 0.929
0.314 0.686 0.250
0.686 0.314 0.750
0.708 0.292 0.071
0.708 0.292 0.429
0.934 0.066 0.105
0.934 0.066 0.395
0.182 0.818 0.750
0.818 0.182 0.250
0.140 0.860 0.119
0.140 0.860 0.381
0.860 0.140 0.619
0.860 0.140 0.881
```

Output
uncorrected energy: -6.749 eV/atom
space-group type: Cmcm (63)
E_form: 154 meV per atom

---

Record 4
Computed, not measured: an optimized crystal structure of Th6TcBi3 at the PBE level of DFT.

Cell and atoms, written as POSCAR:
```
Th6TcBi3
1.0
6.371 0.000 0.000
0.000 8.906 0.000
-6.126 0.000 11.272
Th Tc Bi
12 2 6
Direct
0.050 0.158 0.440
0.050 0.342 0.940
0.364 0.696 0.445
0.364 0.804 0.945
0.411 0.032 0.271
0.411 0.468 0.771
0.589 0.532 0.229
0.589 0.968 0.729
0.636 0.196 0.055
0.636 0.304 0.555
0.950 0.658 0.060
0.950 0.842 0.560
0.500 0.000 0.500
0.500 0.500 0.000
0.000 0.000 0.000
0.000 0.500 0.500
0.144 0.126 0.753
0.144 0.374 0.253
0.856 0.626 0.747
0.856 0.874 0.247
```

Output
uncorrected energy: -6.924 eV/atom
space-group type: P2_1/c (14)
E_form: -272 meV per atom

---

Record 5
Computed, not measured: an optimized crystal structure of Th12Tc6Bi at the PBE level of DFT.

Cell and atoms, written as POSCAR:
```
Th12Tc6Bi
1.0
-5.092 5.092 5.092
5.092 -5.092 5.092
5.092 5.092 -5.092
Th Tc Bi
12 6 1
Direct
0.122 0.814 0.307
0.186 0.307 0.493
-- stop --

EarthHologramThroughout history people who really seek the truth, open their minds, and dive into this reality have been demonised, ostracized and eventually slaughtered. Christians were slaughtered every day after the death of Jesus before Constantine declared Christianity the official religion in 325 AD at the council of Nicea. Were these early Christians really Gnostics? That is a very good question. St Paul’s writings were definitely of Gnostic origin and virtually all the writings of the Gnostics were destroyed, which includes the Library of Alexandria.

The butchering and slaughtering continued through the dark ages and then into the Spanish Inquisition, where the Cathars were wiped out in France. The peoples who lived next to the Cathars said they were the most peaceful and righteous people they had ever met. They were still wiped off the face of the earth for being heretics, which simply means ‘a belief or opinion contrary to orthodox religious doctrine.’ In recent times, this type of behaviour is not tolerated in so called civilised societies, so people who are looking for the truth have been growing in numbers slowly. Now, thanks to the internet, they are starting to communicate with each other. The rise of the Gnostics is here and growing daily.

Gnosticism simply means knowing.

Again there are stories to help people understand the situation we are in. To put it simply, Gnosticism is a journey of inner discoveries. You can speak with authority and confidence of your knowledge because it is an experience and not conjecture or hearsay. The inner journey is a fabulous journey but enlightenment comes at a price. Well it did for me anyway. Continue reading

The ISIS Ploy: Illuminati Symbols, Sorcery And Sacrifice

“You’ll find this energy vampirism a recurring theme throughout any esoteric studies on this subject, a theme popularized by the Matrix movies where humans are considered energy “batteries” to be drained and utilized. That’s pretty much what they’re up to.” ~Z Gardner

ZG_IsisIt’s rather ironic that this latest wave of Western armed and financed “Islamic” militants invading Iraq and now conveniently threatening Syria and Iran is named ISIS. Or is it deliberate? It’s being used to stand for this oddly anglicised, fabricated, full-on barbaric “Islamic State in Iraq and Syria” movement presently sweeping Iraq, but anyone acquainted with any degree of occult knowledge or esoteric mythology knows the goddess Isis is one of the most important figures in so-called mystery schools, and a favorite of Freemasonry and the Illuminati; and one for which they have manipulated, murdered and thoroughly deceived humanity for millennia.

While the US is currently (once again) self-appointedly deciding whether to go into all out overt war on the entire region from Lebanon to Iran, based on this “unforeseen phenomenon” of ISIS, this parasitic plan goes on full throttle, ripping the guts out of millions of innocent people’s lives for the Machiavellian desires of a few; all while they hoodwink the masses into a completely backwards interpretation of their devious sorcery.

These “elite” few are fueled by something besides their psychopathy – it’s an occult allegiance to powerful symbolic entities, whether they are all fully conscious of their allegiances to these powers or not. Such is the case of most of manipulated humanity.

Isis and the Illuminati

It’s important to know that almost every portrayal of a feminine goddess, a speciality of Freemasonic art, literature and architecture, hails back to Isis – no matter whether it’s called “The Statue of Liberty”, “Blind Justice”, “Mother Mary”, “Columbia” or some other “Queen of Heaven” or whatever label they want to give her. They’re almost all the same entity. Isis in turn goes back to Sumer and the goddess Semiramis, or Ishtar, an embodiment of this same esoteric deity. Continue reading

Illuminati Defector ‘Mary Ann’ [Audio]

“As the Kennedy assassination and 9-11 prove, the United States (and most countries) have been totally subverted by a Luciferian international criminal elite. The role of politicians, media and education is to keep the sheep deluded and distracted while the elite stealthily advances its goal of world tyranny. Western society today is a massive fraud.” ~H Makow (Illuminati Sex Slaves Paint Horrifying Picture)


Henry Makow’s interview with ex-Illuminati member ‘Mary Anne’ (pseudonym) who was once a ‘political figure of prominence’ working for the Illuminati. Republic Broadcasting Network. Air Date: 09.31.2008.


  • 0:00 Introduction 
  • 0:45 Vernal Equinox 
  • 2:00 Sacrifice Victims, ‘Breeders’, Significance  Continue reading

Illuminati Human Cloning Immortality [Video]

Mind Control and Occult Knowledge – Who are the Illuminati? Are they Satanic? Will they have everlasting life with human cloning?


Source Freeman Fly  June 18 2014